Eilidh Rose McEwan

Postdoctorate Researcher Deaf Education

  • Moray House of Education and Sport, University of Edinburgh

Contact details


I started my studies at the University of Glasgow with an MA in English Literature and History, followed by a MSc in International Relations in 2015. After a few years of working for various organisations and travel overseas, I started a Ph.D at the University of Central Lancashire in 2017 in the field of Deaf Studies and International Development. My Ph.D investigated the capabilities of deaf people in a peer-to-peer literacy project where deaf learners were taught English through a bilingual, multiliteracies learning model across a variety of international contexts.

Shortly after completing my doctorate degree in December 2021, I worked on a research project at the University of Roehampton, investigating the impact of Covid19 social restriction measures on deaf and vision impaired children and young people in mainstream school settings. From this study, we produced a report for BATOD.


MA English Literature and History 2013.

MSc International Relations 2015.

Ph.D Deaf Studies 'The capabilities of deaf people in development projects in the Global South.' 2021.

Research summary

Language education; language acquisition; applied (sign) linguistics; language learning. 

Current research interests

**Someone pasted data records at this point**
The following is a calculated PXRD pattern of Dy14ScTl. It was derived from DFT lattice parameters and positions (PBE), using Cu Kα X-rays.
Kinematic intensities with the Lorentz-polarization factor, no thermal factor.

Top 12 peaks for 2θ from 10° to 90°, in order of rising 2θ:
2theta, I_rel, index
31.3, 100, 2 0 2
36.1, 17, 0 0 4
36.4, 34, 2 2 0
52.2, 24, 2 2 4
52.4, 12, 4 0 0
62.0, 14, 2 0 6
62.3, 28, 4 2 2
65.3, 12, 4 0 4
85.4, 12, 4 2 6
85.7, 6, 6 0 2
88.4, 6, 4 4 4
88.5, 6, 6 2 0

Crystal structure
abc: 6.9863 6.9863 9.9477
angles: 90.00 90.00 90.00
Sites, in units of the cell vectors:
Dy 0.0000 0.0000 0.0000
Dy 0.0000 0.5000 0.0000
Dy 0.0000 0.5000 0.5000
Dy 0.2482 0.2482 0.2544
Dy 0.2482 0.2482 0.7456
Dy 0.2482 0.7518 0.2544
Dy 0.2482 0.7518 0.7456
Dy 0.5000 0.0000 0.0000
Dy 0.5000 0.0000 0.5000
Dy 0.5000 0.5000 0.0000
Dy 0.7518 0.2482 0.2544
Dy 0.7518 0.2482 0.7456
Dy 0.7518 0.7518 0.2544
Dy 0.7518 0.7518 0.7456
Sc 0.0000 0.0000 0.5000
Tl 0.5000 0.5000 0.5000

=====

Starting from a structure optimized by DFT (GGA-PBE), the powder diffractogram of Pm6SmDyY2 was simulated for Cu Kα (weighted mean of Kα1 and Kα2).
Kinematic intensities with the Lorentz-polarization factor, no thermal factor.

Most intense lines, 2θ = 15–90°, sorted by position:
d [Å], Rel. int.
3.201, 29
3.175, 74
2.989, 100
2.932, 87
2.919, 98
2.900, 75
2.875, 70
2.802, 38
2.654, 62
2.602, 39

Cell and atoms:
Unit cell a=9.358 b=15.260 c=9.587 alpha=90.00 beta=96.28 gamma=90.00
Space group C2/c (No. 15)
Asymmetric unit:
Pm (0.062, 0.177, 0.443) (multiplicity 8)
Pm (0.095, 0.388, 0.617) (multiplicity 8)
Pm (0.215, 0.224, 0.814) (multiplicity 8)
Sm (0.000, 0.032, 0.750) (multiplicity 4)
Dy (0.000, 0.410, 0.250) (multiplicity 4)
Y (0.249, 0.452, 0.951) (multiplicity 8)

Starting from a structure optimized by DFT (GGA-PBE), the powder diffractogram of PmSm2Dy2Y6 was simulated for Cu Kα (weighted mean of Kα1 and Kα2).
Kinematic intensities with the Lorentz-polarization factor, no thermal factor.

Most intense lines, 2θ = 15–90°, sorted by position:
d [Å], Rel. int.
2.921, 27
2.900, 22
2.856, 38
2.795, 100
2.657, 19
2.035, 16
1.945, 16
1.737, 10
1.495, 15
1.484, 12

Cell and atoms:
Unit cell a=5.711 b=12.057 c=10.628 alpha=90.00 beta=90.06 gamma=90.00
Space group C2/m (No. 12)
Asymmetric unit:
Pm (0.000, 0.000, 0.000) (multiplicity 2)
Sm (0.000, 0.366, 0.500) (multiplicity 4)
Dy (0.000, 0.295, 0.000) (multiplicity 4)
Y (0.000, 0.153, 0.292) (multiplicity 8)
Y (0.000, 0.500, 0.209) (multiplicity 4)

Starting from a structure optimized by DFT (GGA-PBE), the powder diffractogram of PmDy3Sn5 was simulated for Cu Kα (weighted mean of Kα1 and Kα2).
Kinematic intensities with the Lorentz-polarization factor, no thermal factor.

Most intense lines, 2θ = 15–90°, sorted by position:
d [Å], Rel. int.
3.189, 9
2.779, 34
2.723, 99
2.642, 100
2.135, 19
1.896, 29
1.572, 10
1.556, 27
1.500, 15
1.376, 25

Cell and atoms:
Unit cell a=9.4329 b=9.4329 c=6.3771 alpha=90.00 beta=90.00 gamma=120.00

Her current research includes a study on AI captions and summaries for deaf children across the UK, and a study on ethics and professionalism among teachers of the deaf.

Past research interests

Multiliteracies language learning with deaf communities; bilingual learning with English and sign languages; Covid19 social restriction measures and their impact on deaf and vision impaired pupils.

Project activity

For the Ethics and Teachers of the Deaf project, surveys have been collected, alongside research from magazine articles and interviews with teachers of the deaf. A magazine article is forthcoming in early 2025. 

For the Captions and Summary project, data is now being collected.  

Past project grants

External Scholarships
November 2019 Sir Richard Stapley Education Trust
August 2019 Gallaudet Graduate Alumni Association
October 2018 The Sidney Perry Foundation
June 2018 Galluadet Graduate Alumni Association
May 2018 Sir Richard Stapley Education Trust
November 2017 Scottish International Education Trust
July 2017 The Sidney Perry Foundation

== Inserted here: calculated crystals ==
____________
1.
The following is a theoretical powder diffractogram of Cd9PbAu2. It was derived from DFT lattice parameters and positions (PBE), using copper Kα.
Neutral-atom scattering factors, no anomalous dispersion.

Principal peaks in the range 15° ≤ 2θ ≤ 90°, sorted by position:
| d [Å] | Rel. int. |
| --- | --- |
| 3.053 | 34 |
| 2.689 | 100 |
| 2.487 | 25 |
| 2.291 | 53 |
| 2.196 | 36 |
| 1.552 | 19 |

Cell and atoms:
```
Cd9PbAu2
1.0
-6.0053 6.0053 3.8132
6.0053 -6.0053 3.8132
6.0053 6.0053 -3.8132
Cd Pb Au
18 2 4
direct
0.0566 0.2263 0.4281
0.0566 0.6285 0.8303
0.2263 0.0566 0.9281
0.2263 0.2982 0.1697
0.2982 0.2263 0.6697
0.2982 0.6285 0.0719
0.3715 0.7018 0.4281
0.3715 0.9434 0.6697
0.3750 0.6250 0.7500
0.6250 0.3750 0.2500
0.6285 0.0566 0.3303
0.6285 0.2982 0.5719
0.7018 0.3715 0.9281
0.7018 0.7737 0.3303
0.7737 0.7018 0.8303
0.7737 0.9434 0.0719
0.9434 0.3715 0.1697
0.9434 0.7737 0.5719
0.1250 0.8750 0.2500
0.8750 0.1250 0.7500
0.0000 0.5000 0.5000
0.5000 0.0000 0.0000
0.5000 0.5000 0.0000
0.5000 0.5000 0.5000
```

2.
The following is a theoretical powder diffractogram of Pu2ScPaTe4. It was derived from DFT lattice parameters and positions (PBE), using copper Kα.
Neutral-atom scattering factors, no anomalous dispersion.

Principal peaks in the range 15° ≤ 2θ ≤ 90°, sorted by position:
| d [Å] | Rel. int. |
| --- | --- |
| 3.072 | 100 |
| 2.204 | 13 |
| 2.181 | 26 |
| 2.163 | 25 |
| 1.757 | 13 |
| 1.536 | 13 |

Cell and atoms:
```
Pu2ScPaTe4
1.0
7.5185 0.0000 0.0000
0.0000 4.2840 0.0000
-2.4306 0.0000 7.2028
Pu Sc Pa Te
2 1 1 4
direct
0.0000 0.0000 0.0000
0.0000 0.5000 0.5000
0.5000 0.0000 0.5000
0.5000 0.5000 0.0000
0.2554 0.0000 0.7425
0.2629 0.5000 0.2630
0.7371 0.5000 0.7370
0.7446 0.0000 0.2575
```

3.
The following is a theoretical powder diffractogram of Rb3Na3VCl8. It was derived from DFT lattice parameters and positions (PBE), using copper Kα.
Neutral-atom scattering factors, no anomalous dispersion.

Principal peaks in the range 15° ≤ 2θ ≤ 90°, sorted by position:
| d [Å] | Rel. int. |
| --- | --- |
| 3.033 | 100 |
| 2.809 | 17 |
| 2.210 | 29 |
| 2.085 | 33 |
| 1.718 | 15 |
| 1.326 | 11 |

Cell and atoms:
```
Rb3Na3VCl8
1.0
4.1702 2.4077 7.4496
-4.1702 2.4077 7.4496
0.0000 -4.8153 7.4496
Rb Na V Cl
3 3 1 8
direct
0.0000 0.5000 0.5000
0.5000 0.0000 0.5000
0.5000 0.5000 0.0000
0.0000 0.0000 0.5000
0.0000 0.5000 0.0000
0.5000 0.0000 0.0000
0.5000 0.5000 0.5000
0.2359 0.2359 0.2359
0.2677 0.7099 0.7099
0.2901 0.2901 0.7323
0.2901 0.7323 0.2901
0.7099 0.2677 0.7099
0.7099 0.7099 0.2677
0.7323 0.2901 0.2901
0.7641 0.7641 0.7641
```

4.
The following is a theoretical powder diffractogram of Cr3Co2Ni8. It was derived from DFT lattice parameters and positions (PBE), using copper Kα.
Neutral-atom scattering factors, no anomalous dispersion.

Principal peaks in the range 15° ≤ 2θ ≤ 90°, sorted by position:
| d [Å] | Rel. int. |
| --- | --- |
| 2.285 | 40 |
| 2.045 | 100 |
| 1.957 | 90 |
| 1.895 | 38 |
| 1.800 | 52 |
| 1.268 | 36 |
____________

Internal UCLAN grants
March 2019 Conference attendance grant £300
October 2018 PhD fieldwork expenses £300
June 2018 Conference attendance Warsaw SIGN9 grant £300